-- File --
____________
First-principles (PBE) data for a geometry-optimized Na3Sm9B8O27 structure, as listed in Materials Project.

Cell: 8.7538 8.7538 8.4114 Å, 90.00 90.00 120.00°
Positions (direct):
Na 0.0000 0.3362 0.0000
Na 0.3362 0.0000 0.0000
Na 0.6638 0.6638 0.0000
Sm 0.0000 0.2819 0.5000
Sm 0.0000 0.6515 0.2355
Sm 0.0000 0.6515 0.7645
Sm 0.2819 0.0000 0.5000
Sm 0.3485 0.3485 0.2355
Sm 0.3485 0.3485 0.7645
Sm 0.6515 0.0000 0.2355
Sm 0.6515 0.0000 0.7645
Sm 0.7181 0.7181 0.5000
B 0.0000 0.0000 0.2100
B 0.0000 0.0000 0.7900
B 0.3333 0.6667 0.0000
B 0.3333 0.6667 0.3245
B 0.3333 0.6667 0.6755
B 0.6667 0.3333 0.0000
B 0.6667 0.3333 0.3245
B 0.6667 0.3333 0.6755
O 0.0000 0.1584 0.2127
O 0.0000 0.1584 0.7873
O 0.0000 0.7436 0.5000
O 0.1584 0.0000 0.2127
O 0.1584 0.0000 0.7873
O 0.1762 0.5105 0.3176
O 0.1762 0.5105 0.6824
O 0.1792 0.6775 0.0000
O 0.2564 0.2564 0.5000
O 0.3225 0.5017 0.0000
O 0.3343 0.8238 0.3176
O 0.3343 0.8238 0.6824
O 0.4895 0.6657 0.3176
O 0.4895 0.6657 0.6824
O 0.4983 0.8208 0.0000
O 0.5017 0.3225 0.0000
O 0.5105 0.1762 0.3176
O 0.5105 0.1762 0.6824
O 0.6657 0.4895 0.3176
O 0.6657 0.4895 0.6824
O 0.6775 0.1792 0.0000
O 0.7436 0.0000 0.5000
O 0.8208 0.4983 0.0000
O 0.8238 0.3343 0.3176
O 0.8238 0.3343 0.6824
O 0.8416 0.8416 0.2127
O 0.8416 0.8416 0.7873

Summary:
E in eV/atom: -7.932
Energy relative to the elements in meV per atom: -3359
Energy with MP2020 corrections in eV per atom: -8.3262
Total moment in μB per formula unit: 0.0

***

First-principles (PBE) data for a geometry-optimized K2ZnO2 structure, as listed in Materials Project.

Cell: 6.6761 6.6761 6.6761 Å, 125.70 75.87 131.35°
Positions (direct):
K 0.1523 0.1363 0.2887
K 0.3477 0.6363 0.9840
K 0.6523 0.3637 0.0160
K 0.8477 0.8637 0.7113
Zn 0.2500 0.7500 0.5000
Zn 0.7500 0.2500 0.5000
O 0.0955 0.6856 0.7811
O 0.4045 0.1856 0.5902
O 0.5955 0.8144 0.4098
O 0.9045 0.3144 0.2189

Summary:
E in eV/atom: -3.986
Energy relative to the elements in meV per atom: -1586
Energy with MP2020 corrections in eV per atom: -4.2611

***

First-principles (PBE) data for a geometry-optimized RbTaO3 structure, as listed in Materials Project.

Cell: 5.7819 5.7819 7.0975 Å, 90.00 90.00 120.00°
Positions (direct):
Rb 0.0000 0.0000 0.0000
Rb 0.3333 0.6667 0.6667
Rb 0.6667 0.3333 0.3333
Ta 0.0000 0.0000 0.5112
Ta 0.3333 0.6667 0.1779
Ta 0.6667 0.3333 0.8446
O 0.1687 0.3375 0.3223
O 0.1687 0.8313 0.3223
O 0.3292 0.1646 0.6556
O 0.5021 0.0042 0.9890
O 0.5021 0.4979 0.9890
O 0.6625 0.8313 0.3223
O 0.8354 0.1646 0.6556
O 0.8354 0.6708 0.6556
O 0.9958 0.4979 0.9890

Summary:
E in eV/atom: -8.106
Largest piezoelectric modulus in C/m2: 11.4
Energy relative to the elements in meV per atom: -2982
Energy with MP2020 corrections in eV per atom: -8.5180
Total moment in μB per formula unit: 0.0

***

First-principles (PBE) data for a geometry-optimized Mg2TiNb2O8 structure, as listed in Materials Project.

Cell: 9.9916 9.9916 5.2282 Å, 90.22 90.22 34.74°
Positions (direct):
Mg 0.0897 0.3650 0.2440
Mg 0.3650 0.0897 0.7440
Mg 0.6350 0.9103 0.2560
Mg 0.9103 0.6350 0.7560
Ti 0.1295 0.8705 0.7500
Ti 0.8705 0.1295 0.2500
Nb 0.2434 0.5251 0.2600
Nb 0.4749 0.7566 0.2400
Nb 0.5251 0.2434 0.7600
Nb 0.7566 0.4749 0.7400
O 0.0438 0.3368 0.8733
O 0.0741 0.8163 0.4185
O 0.1836 0.9259 0.0815
O 0.2161 0.4125 0.5632
O 0.2998 0.5688 0.9041
O 0.3368 0.0438 0.3733
O 0.4125 0.2161 0.0632
O 0.4312 0.7002 0.5959
O 0.5688 0.2998 0.4041
O 0.5875 0.7839 0.9368
O 0.6632 0.9562 0.6267
O 0.7002 0.4312 0.0959
O 0.7839 0.5875 0.4368
O 0.8164 0.0741 0.9185
O 0.9259 0.1837 0.5815
O 0.9562 0.6632 0.1267

Summary:
E in eV/atom: -8.056
Energy relative to the elements in meV per atom: -3027
Energy with MP2020 corrections in eV per atom: -8.4792
Total moment in μB per formula unit: 2.0

=====

[1]
A geometry-optimized Li3In2 structure, computed with PBE.

Space-group type: R-3m
Energy relative to the elements, eV/atom: -0.294

Cell and atoms, written as POSCAR:
```
Li3In2
1.0
5.099 -2.377 0.000
5.099 2.377 0.000
3.991 0.000 3.966
Li In
3 2
____________
-- Work order --
Say how many lines of the rows earlier on hold the word "and", as a bare number.
-- Solution --
1